Let's take a look.
First the references (and if you're interested in Quenya, this is a great site), I get everything from Ardalambion and this dictionary.
Your first word "Caitan" seems correct. "Caita-" is the aorist form of "lie" and the "-n" is the pronominal suffix for "I".
Here's the definition of "Caita-":
caita- vb. "lie" (= lie down, not "tell something untrue"), aorist
tense "lies" in the sentences sindanóriello caita mornië "out of a
grey land darkness lies" (Nam, RGEO:67)
And here is the construction:
We also see -i- before all pronominal endings; indeed
Tolkien very often cites Quenya primary verbs as aorist forms with the
ending -n "I" attached (e.g. carin "I make", LR:362, tulin "I come",
LR:395). A-stem verbs show no variation, but end in -a whether or not
any further ending follows (e.g. lanta "falls", lantar "fall" with a
plural subject, lantan "I fall", etc.)
Next word "nu" is also correct.
nu prep. "under" (LR:56, Markirya, Nam, RGEO: 66, MC:214; the
Etymologies alone gives no [q.v.] instead). In Mar-nu-Falmar,
nuhuinenna, q.v. Prefix nú- in nútil, q.v
So then we have "i" which is Quenya for "the". I don't think you need the hyphen here. The hyphen is usually used when a compound word is created, and that is not the case. (For example Mar-nu-Falmar, "Land (lit. Home) under Waves" is a compound word, a name for Númenor after it sinks)
"isilmë" is moonlight, so that's correct!
isilmë (þ) noun "moonlight", occurring in Markirya; free translation
"the moon" in MC:215 (isilmë ilcalassë, literally "moonlight
gleaming-in" = "in the moon gleaming"). Isilmë also appears as the
name of a Númenorean woman (UT:210).
So far so good! Let's look at the next line.
"Ápan" is not quite right. It should be Appan "I touch" with Appa- being the aorist form and the "-n" the pronominal suffix. (I don't see any reference with the accent over the a.)
appa- vb. "touch" (in the literal sense; contrast #ap-, q.v.) (VT44:26)
"Talan" is ground.
talan (talam-, e.g. pl. talami) noun "floor, base, ground" (TALAM)
This next one is a little tricky, but I think you got it. "rosséva" is "of dew", with "rossé" being "dew" and the suffix "-va" meaning "of". I am not sure of the accent. It looks right, but I couldn't find the specific rule.
Here's the definition:
rossë noun "fine rain, dew" (ROS1, PM:371)
And the construction:
Then there is the possessive, by some called the "associative" or
"adjectival case"; Tolkien himself speaks of it as a
"possessive-adjectival...genitive" in WJ:369. This case has the ending
-va (-wa on nouns ending in a consonant). Its general function is like the English genitive, to express ownership: Mindon Eldaliéva "Tower of
the Eldalië". The function of the possessive was long poorly
understood. In Namárië it occurs in the phrase yuldar...miruvóreva,
"draughts...of mead".
And finally, line three.
"Ólan" is also correct. "Óla-" is the verb dream and again "-n" is the pronominal suffix.
óla- vb. "to dream" (said to be "impersonal", probably meaning that
the dreamer is mentioned in the dative rather than the nominative)
The last word is very difficult, and I think you nailed it. "ranculyat" breaks down like so: "rancu-lya-t", rancu-=arm, lya=your and t=dual plural. Quenya has a special plural for natural pairs, like arms or eyes, and you got that suffix correct. Also, the "a" in "lya" does not get a stress because the dual plural suffix is "-t". (The first "u" may need to be stressed, but I couldn't find a reference for it.)
So...here's the definition:
ranco ("k") noun "arm", stem *rancu- given the primitive form ¤ranku,
**Quantum chemistry results, kept here for reference:**
~~~
Entry 1:
{
  "formula": "C29H37Cl2CsN6O2S3",
  "method": "wB97M-V/def2-TZVPD",
  "symbols": ["Cs", "C", "C", "N", "C", "C", "C", "C", "C", "C", "C", "N", "C", "C", "N", "N", "H", "H", "H", "H", "H", "H", "H", "H", "H", "H", "H", "H", "H", "H", "H", "H", "H", "H", "Cl", "C", "C", "C", "Cl", "C", "O", "C", "C", "O", "C", "H", "H", "H", "S", "C", "C", "C", "C", "C", "C", "S", "H", "H", "H", "H", "C", "N", "C", "C", "S", "N", "C", "C", "H", "H", "H", "H", "H", "H", "H", "H", "H", "H", "H", "H"],
  "xyz": [[0.0203, -0.0680, -1.2920], [0.1618, -0.1918, 2.6239], [0.7228, -1.5999, 2.4070], [0.4702, -2.0912, 1.0745], [1.3957, -3.0595, 0.5462], [2.7317, -2.4537, 0.1780], [3.8889, -3.2283, 0.1611], [5.0856, -2.6262, -0.1878], [5.1022, -1.2727, -0.4936], [3.9001, -0.5757, -0.4658], [3.8552, 0.9040, -0.8344], [2.6882, 1.6081, -0.3996], [2.6405, 2.1313, 0.9440], [2.1074, 1.1560, 1.9943], [0.7379, 0.7834, 1.7172], [2.7539, -1.1626, -0.1452], [0.3134, 0.0734, 3.6872], [-0.9204, -0.2121, 2.4620], [0.3178, -2.2534, 3.1999], [1.8062, -1.5752, 2.5582], [-0.4829, -2.3964, 0.8958], [0.9589, -3.4518, -0.3823], [1.5832, -3.9146, 1.2209], [3.8433, -4.2799, 0.4139], [6.0020, -3.2053, -0.2114], [6.0254, -0.7652, -0.7491], [3.9148, 0.9700, -1.9250], [4.7860, 1.3621, -0.4486], [2.2582, 2.2051, -1.0904], [1.9864, 3.0039, 0.9303], [3.6426, 2.4662, 1.2694], [2.2244, 1.6263, 2.9908], [2.7248, 0.2556, 1.9968], [0.1557, 1.6065, 1.6093], [-4.2572, 6.0445, -3.0673], [-2.9581, 5.1968, -2.2480], [-2.8865, 5.2493, -0.8468], [-1.8874, 4.5840, -0.2009], [-1.7834, 4.6819, 1.5351], [-0.8815, 3.7706, -0.8690], [-0.0505, 3.0987, -0.2331], [-0.9702, 3.8261, -2.3118], [0.0283, 3.2343, -3.1870], [1.0744, 2.6838, -2.8952], [-2.0134, 4.5114, -2.9575], [-3.6152, 5.8140, -0.2807], [-0.2309, 3.3452, -4.2641], [-2.0549, 4.4969, -4.0411], [0.8269, -2.9490, -3.0492], [-0.5092, -4.0884, -3.1682], [-0.4273, -5.0978, -4.1440], [-1.4104, -6.0534, -4.3440], [-2.5478, -6.0295, -3.5439], [-2.6561, -5.0466, -2.5720], [-1.6776, -4.0678, -2.3484], [-1.9854, -2.8875, -1.0638], [0.4637, -5.1047, -4.7618], [-1.2875, -6.8063, -5.1168], [-3.3405, -6.7602, -3.6711], [-3.5366, -5.0158, -1.9384], [-4.0661, -2.7563, 1.9717], [-4.4116, -1.5746, 1.2099], [-5.1881, -1.8520, 0.0059], [-4.3203, -0.3379, 1.7414], [-4.2012, -0.0761, 3.4051], [-4.3413, 0.6905, 0.8442], [-3.6331, 0.5825, -0.4334], [-4.4877, 2.0549, 1.3149], [-4.9295, -3.1287, 2.5370], [-3.2712, -2.5269, 2.6755], [-3.7159, -3.5092, 1.2645], [-5.9652, -2.5794, 0.2653], [-4.5460, -2.2720, -0.7734], [-5.6717, -0.9429, -0.3421], [-4.3041, 0.7781, -1.2731], [-3.1954, -0.4068, -0.5665], [-2.8341, 1.3314, -0.4422], [-5.2570, 2.1030, 2.0814], [-4.7748, 2.6776, 0.4655], [-3.5558, 2.4380, 1.7382]],
  "orbital_gap_ha": 0.159,
  "de_lowest_ev": 0.000,
  "mol_weight_g_mol": 801.667,
  "charge": -2
}

Entry 2:
{
  "formula": "C16H8BF9NS",
  "method": "wB97M-V/def2-TZVPD",
~~~
hence also pl. ranqui ("q") (RAK)
and the construction:
2nd person sg. formal/polite: -lya "your, thy"
The plural suffix of a pair:
Like the nominative plural, the nominative dual is formed with one of
two endings. Most nouns take the ending -t, as in the word máryat "her
hands" (two hands, a pair of hands) in Namárië. "Two ships, a couple
of ships" is likewise ciryat (cirya "ship")
And finally, the stress:
When stressed, most of these pronouns have long vowels: ní, lyé, tyé,
sé, sá etc. The vowel however remains short in the dual forms in -t
So, the "a" in "-lya" stays short!
My translation would be very similar to yours:
Caitan nu i isilmë
Appan talan rosséva
Ólan ranculyat
You have done amazingly well, as far as I'm concerned. I think you'd like this course from Ardalambion...it's where I learned everything I know.
Also, it would be great to see it in Tengwar!
Hope this is helpful!